Exemplo n.º 1
    def fixxids(self, xid, pace=cfg.PACE[0]):

        # walk the root, and set all non-iunlink files to xid xid.  this
        # means that when a non iunlink file is deleted, the proper amount
        # of space is freed.

        xid = int(xid)

        print 'Fixing xids in %s for xid %d... (this may take a while)' % (
            self.vpsroot, xid)

        p = 0
        t, x = 0, 0

        for root, dirs, files in os.walk(self.vpsroot):

            for file in files + dirs:

                path = os.path.join(root, file)

                if pace and p >= pace:
                    p = 0
                    p += 1

                t += 1  # total file count

                if os.path.isdir(path) or path.endswith('dev/null') or \
                       path.endswith('etc/protocols') or path.endswith('etc/resolv.conf'):

                    # do not set xid on directories, as this breaks the ohd
                    # thing which would get permission denied trying to run
                    # stuff from another context. since space (not security) is
                    # the prime motivator for this, and dirs are tiny, this is ok
                    # XXX and of course the dev/null and etc/protocols is a total
                    # dirty hack to make traceroute work

                    # XXX or is it?

                    vsutil.set_file_xid(path, 0)

                elif (not vsutil.is_file_immutable_unlink(path)
                      and not os.path.islink(path)
                      and os.stat(path).st_nlink == 1):

                    vsutil.set_file_xid(path, xid)

                    x += 1  # setxid file count

                elif not os.path.islink(path):

                    # default to 0
                    vsutil.set_file_xid(path, 0)

        print 'Done.\n%d xids of a total of %d has been set to %d' % (x, t,
Exemplo n.º 2
    def fixxids(self, xid, pace=cfg.PACE[0]):

        # walk the root, and set all non-iunlink files to xid xid.  this
        # means that when a non iunlink file is deleted, the proper amount
        # of space is freed.

        xid = int(xid)

        print 'Fixing xids in %s for xid %d... (this may take a while)' % (self.vpsroot, xid)

        p = 0
        t, x = 0, 0

        for root, dirs, files in os.walk(self.vpsroot):

            for file in files + dirs:

                path = os.path.join(root, file)

                if pace and p >= pace:
                    sys.stdout.write('.'); sys.stdout.flush()
                    p = 0
                    p += 1

                t += 1  # total file count

                if os.path.isdir(path) or path.endswith('dev/null') or \
                       path.endswith('etc/protocols') or path.endswith('etc/resolv.conf'):

                    # do not set xid on directories, as this breaks the ohd
                    # thing which would get permission denied trying to run
                    # stuff from another context. since space (not security) is
                    # the prime motivator for this, and dirs are tiny, this is ok
                    # XXX and of course the dev/null and etc/protocols is a total
                    # dirty hack to make traceroute work

+++
A 2-piece molecular cluster, C4H5N3 overall in a non-equilibrium geometry, computed with wB97M-V/def2-TZVPD.

For the relative energy (zero: lowest compared OMol25 entry of this formula, charge and spin), the calculation gives 67.9 kcal/mol. The calculation puts the orbital gap at 11.2 eV. The calculation puts the molecular weight at 95.10 Da. The HOMO energy comes out at -11.39 eV.

```
! wB97M-V def2-TZVPD RIJCOSX def2/J DEFGRID3
* xyz 0 1
C -1.880 1.103 0.798
N 0.096 -0.846 -1.021
C 1.265 -0.871 -0.525
C 2.397 -1.545 -1.143
N 3.286 -2.087 -1.648
C 0.513 1.489 1.722
N -0.576 1.335 1.318
H -1.832 0.242 0.128
H -2.213 1.982 0.242
H -2.574 0.910 1.620
H 0.057 -1.358 -1.906
H 1.461 -0.354 0.415
*
```

=====

An isolated ion of composition C4H5F3N3S2 and charge +1 in a non-equilibrium geometry, computed with wB97M-V/def2-TZVPD.

For the relative energy (zero: lowest compared OMol25 entry of this formula, charge and spin), the calculation gives 0.0 kcal/mol. The calculation puts the orbital gap at 8.8 eV. The calculation puts the molecular weight at 216.23 Da. The HOMO energy comes out at -14.74 eV.

```
! wB97M-V def2-TZVPD RIJCOSX def2/J DEFGRID3
* xyz 1 1
C 1.196 0.023 0.013
C -1.941 -0.567 -0.960
C -1.944 0.404 0.209
C 2.635 0.529 -0.181
N 0.783 -0.829 -0.861
N -0.842 -1.816 1.211
N 0.533 0.501 1.053
F 3.200 0.041 -1.266
F 2.641 1.863 -0.260
F 3.359 0.183 0.888
S -0.542 -1.737 -0.862
S -1.016 -0.374 1.625
H -2.820 -1.211 -0.963
H -1.879 -0.039 -1.912
H -1.443 1.341 -0.020
H -2.955 0.618 0.560
H 1.035 1.069 1.726
*
```

=====

C4H4EuLiO2 as an isolated structure in a non-equilibrium geometry, computed with wB97M-V/def2-TZVPD.

For the relative energy (zero: lowest compared OMol25 entry of this formula, charge and spin), the calculation gives 0.5 kcal/mol. The calculation puts the orbital gap (alpha / beta) at 2.1 / 2.3 eV. The calculation puts the molecular weight at 242.98 Da. The HOMO energy (alpha / beta) comes out at -8.45 / -8.46 eV.

```
! wB97M-V def2-TZVPD RIJCOSX def2/J DEFGRID3
* xyz 1 8
H 3.503 -2.801 -2.115
C -0.434 1.397 0.484
C -1.361 1.090 -0.638
C -0.349 0.051 -0.308
C 0.282 -1.046 -0.319
O 0.876 -2.076 -0.203
O -0.858 1.385 1.743
H 0.420 2.046 0.248
H -1.222 1.609 -1.589
H -2.394 0.853 -0.370
Eu -0.911 0.508 3.817
Li 2.448 -3.016 -0.749
*
```

=====

A 3-piece molecular cluster, C6H12BF3O8S2 overall in a non-equilibrium geometry, computed with wB97M-V/def2-TZVPD.

Its structure (SMILES) is O=S1(=O)OCCO1.O=S1(=O)OCCO1.CBC(F)(F)F. For the relative energy (zero: lowest compared OMol25 entry of this formula, charge and spin), the calculation gives 48.1 kcal/mol. The calculation puts the orbital gap at 10.0 eV. The calculation puts the molecular weight at 344.09 Da. The HOMO energy comes out at -10.99 eV.

```
! wB97M-V def2-TZVPD RIJCOSX def2/J DEFGRID3
* xyz 0 1
O -2.443 0.462 2.384
S -2.889 -0.750 1.732
O -4.152 -1.384 2.030
O -1.705 -1.863 1.862
C -1.301 -2.281 0.559
C -1.571 -1.088 -0.354
O -2.793 -0.525 0.119
+++

                    # XXX or is it?

                    vsutil.set_file_xid(path, 0)

                elif (not vsutil.is_file_immutable_unlink(path) and
                      not os.path.islink(path) and
                      os.stat(path).st_nlink == 1):

                    vsutil.set_file_xid(path, xid)

                    x += 1 # setxid file count

                elif not os.path.islink(path):

                    # default to 0
                    vsutil.set_file_xid(path, 0)

        print 'Done.\n%d xids of a total of %d has been set to %d' % (x, t, xid)
Exemplo n.º 3
    def fixflags(self):

        # This routine sets immutable-unlink flags on all files,
        # except those that are marked as config (or mentioned at all)
        # in rpms

        print 'Fixing flags in %s ... (this will take a while)' % self.vpsroot

        # progress indicator
        prog_size = 60
        sys.stdout.write('[%s]' % (' '*prog_size)); sys.stdout.flush()
        p = 0

        # list all rpms
        # (rpmlint is a good place to look at Python code when it comes
        #  to completely undocumented rpm-python)

        ts = rpm.TransactionSet(self.vpsroot)
        rpms  = [item[1][rpm.RPMTAG_NAME] for item in ts.IDTXload()]

        # a stupid trick. makes the progress indicator move slow at first
        # then faster (probably because small rpms are towards the end).

        # this will prevent some warnings related to chroot

        for name in rpms:

            # list files in the rpm
            it = ts.dbMatch('name', name)

            hdr = it.next()

            # this creates a list of file in an rpm. the implementation
            # is borrowed from rpmlint package, i don't really understand
            # how it works, but it does.

            files = hdr[rpm.RPMTAG_OLDFILENAMES]
            if files == None:
                basenames = hdr[rpm.RPMTAG_BASENAMES]
                if basenames:
                    dirnames = hdr[rpm.RPMTAG_DIRNAMES]
                    dirindexes = hdr[rpm.RPMTAG_DIRINDEXES]
                    if type(dirindexes) == types.IntType:
                        files.append(dirnames[dirindexes] + basenames[0])
                        for idx in range(0, len(dirindexes)):
                            files.append(dirnames[dirindexes[idx]] + basenames[idx])

            # now step through those files

            for idx in xrange(len(files)):

                # do we need a pacing sleep?
                if p >= 1000:
                    # instead of writing a dot, write something meaningful
                    prog = int(rpms.index(name)/float(len(rpms))*prog_size)
                    sys.stdout.write('[%s%s]' % ('='*prog, ' '*(prog_size-prog)))
                    p = 0
                    p += 1

                flags = hdr[rpm.RPMTAG_FILEFLAGS][idx]

                if not flags & rpm.RPMFILE_CONFIG:
                    # (if not a config file)

                    file = files[idx]

                    # check against our cloning rules
                    c, t, s = self.match_path(file)

                    if c or t or s:
                        # skip it
                        abspath = os.path.join(self.vpsroot, file[1:])

                        if (os.path.exists(abspath) 
                            and (not os.path.islink(abspath)) 
                            and (not os.path.isdir(abspath))):
                            # (do not make symlinks and dirs immutable)

                            vsutil.set_file_xid(abspath, 0)

                            # NOTE that under no circumstances we *unset* the flag. This
                            # is because e.g. usr/libexec/oh stuff must be iunlink, but
                            # is not in an rpm.
                            # reldst is the way it would look relative to self.vpsroot

        sys.stdout.write('[%s]' % ('='*prog_size)); sys.stdout.flush()
        print 'Done.'
Exemplo n.º 4
    def fixflags(self):

        # This routine sets immutable-unlink flags on all files,
        # except those that are marked as config (or mentioned at all)
        # in rpms

        print 'Fixing flags in %s ... (this will take a while)' % self.vpsroot

        # progress indicator
        prog_size = 60
        sys.stdout.write('[%s]' % (' ' * prog_size))
        p = 0

        # list all rpms
        # (rpmlint is a good place to look at Python code when it comes
        #  to completely undocumented rpm-python)

        ts = rpm.TransactionSet(self.vpsroot)
        rpms = [item[1][rpm.RPMTAG_NAME] for item in ts.IDTXload()]

        # a stupid trick. makes the progress indicator move slow at first
        # then faster (probably because small rpms are towards the end).

        # this will prevent some warnings related to chroot

        for name in rpms:

            # list files in the rpm
            it = ts.dbMatch('name', name)

            hdr = it.next()

            # this creates a list of file in an rpm. the implementation
            # is borrowed from rpmlint package, i don't really understand
            # how it works, but it does.

            files = hdr[rpm.RPMTAG_OLDFILENAMES]
            if files == None:
                basenames = hdr[rpm.RPMTAG_BASENAMES]
                if basenames:
                    dirnames = hdr[rpm.RPMTAG_DIRNAMES]
                    dirindexes = hdr[rpm.RPMTAG_DIRINDEXES]
                    files = []
                    if type(dirindexes) == types.IntType:
                        files.append(dirnames[dirindexes] + basenames[0])
                        for idx in range(0, len(dirindexes)):
                            files.append(dirnames[dirindexes[idx]] +

            # now step through those files

## Calculated molecules, kept here for reference
~~~
Below is a structure of composition C33H35BrF5NO2S4TaTe, with properties calculated with wB97M-V/def2-TZVPD.

## Properties
Energy relative to the best compared isomer or geometry (same formula, charge and spin)   102.04 kcal/mol
LUMO energy   -5.61 eV
Total charge   +1
Frontier orbital gap   5.12 eV
Multiplicity   1
DFT total energy   -6474.71053 Ha

```
83
Properties=species:S:1:pos:R:3:lowdin_charge:R:1
Ta 0.45 0.79 0.67 1.511
S -0.86 2.82 0.19 0.724
C -0.58 3.42 -1.44 -0.644
C -1.40 4.44 -1.93 -0.093
C -1.25 4.87 -3.23 -0.058
C -0.28 4.32 -4.06 -0.064
C 0.55 3.33 -3.58 -0.081
C 0.38 2.88 -2.27 -0.534
S 1.51 1.74 -1.55 0.981
C 1.52 0.37 -2.73 -0.339
C 1.67 -0.96 -2.05 -0.342
C 2.66 -1.84 -2.45 0.014
C 2.58 -3.15 -2.01 -0.004
C 1.47 -3.53 -1.27 -0.012
C 0.55 -2.57 -0.86 -0.320
C -0.69 -3.05 -0.16 -0.339
S -0.86 -2.58 1.59 1.067
C 0.76 -2.74 2.13 -0.421
C 1.46 -3.91 1.99 -0.075
C 2.82 -4.00 2.30 0.028
C 3.53 -2.97 2.90 -0.026
C 2.89 -1.77 3.13 -0.162
C 1.56 -1.46 2.45 -0.964
S 0.84 0.03 3.15 0.714
N 0.71 -1.27 -1.17 0.056
H -2.16 4.86 -1.30 0.110
H -1.90 5.65 -3.61 0.113
H -0.17 4.67 -5.08 0.112
H 1.33 2.92 -4.21 0.114
H 2.30 0.53 -3.47 0.101
H 0.55 0.41 -3.23 0.078
H 3.44 -1.51 -3.11 0.129
H 3.32 -3.88 -2.30 0.123
H 1.30 -4.57 -1.02 0.120
H -0.77 -4.13 -0.28 0.090
H -1.57 -2.59 -0.62 0.067
H 0.94 -4.79 1.65 0.124
H 3.30 -4.97 2.20 0.132
H 4.51 -3.15 3.31 0.137
H 3.12 -1.23 4.05 0.106
C -7.75 0.21 1.50 -0.057
C -6.92 -0.07 0.24 -0.553
C -7.19 -1.51 -0.21 -0.038
C -7.37 0.90 -0.86 -0.040
C -5.43 0.09 0.49 -0.147
C -4.54 -0.03 -0.57 -0.079
C -3.18 0.08 -0.35 -0.572
Br -2.12 0.09 -1.90 0.912
C -2.66 0.30 0.93 -0.312
O -1.27 0.28 1.07 -0.511
C -3.54 0.52 2.01 -0.059
C -4.90 0.39 1.74 0.039
C -3.16 0.92 3.44 -0.520
C -4.39 1.38 4.22 -0.064
C -2.19 2.11 3.44 -0.046
C -2.61 -0.29 4.18 -0.045
H -8.81 0.09 1.26 0.091
H -7.61 1.23 1.86 0.092
H -7.52 -0.48 2.30 0.090
H -8.26 -1.66 -0.37 0.090
H -6.86 -2.23 0.53 0.092
H -6.68 -1.74 -1.15 0.081
H -8.44 0.80 -1.03 0.091
H -6.86 0.71 -1.80 0.077
H -7.17 1.93 -0.57 0.095
H -4.90 -0.19 -1.57 0.101
H -5.59 0.55 2.55 0.080
H -4.91 2.20 3.72 0.098
H -4.06 1.75 5.20 0.096
H -5.09 0.57 4.41 0.088
H -2.65 2.99 2.99 0.094
H -1.26 1.93 2.90 0.009
H -1.92 2.36 4.46 0.097
H -3.38 -1.05 4.28 0.097
H -2.28 -0.01 5.18 0.097
H -1.77 -0.73 3.67 0.003
F 4.43 1.97 1.50 -0.387
Te 3.58 0.37 1.95 2.029
F 3.19 0.47 -0.01 -0.550
F 5.12 -0.57 1.42 -0.402
F 1.72 2.09 1.33 -0.569
F 4.39 0.75 3.70 -0.481
O 1.73 -1.11 1.11 -0.483
```
~~~

            for idx in xrange(len(files)):

                # do we need a pacing sleep?
                if p >= 1000:
                    # instead of writing a dot, write something meaningful
                    prog = int(rpms.index(name) / float(len(rpms)) * prog_size)
                    sys.stdout.write('\b' * (prog_size + 2))
                    sys.stdout.write('[%s%s]' % ('=' * prog, ' ' *
                                                 (prog_size - prog)))
                    p = 0
                    p += 1

                flags = hdr[rpm.RPMTAG_FILEFLAGS][idx]

                if not flags & rpm.RPMFILE_CONFIG:
                    # (if not a config file)

                    file = files[idx]

Inserted here: quantum chemistry results:
Record 1
Computed, not measured: one molecule with the formula C4H10O, with the ωB97M-V functional and the def2-TZVPD basis.

Atoms and positions in Å:
C: -1.3873 -0.8103 -0.1067
C: -0.1944 0.0251 -0.4343
C: -0.3443 1.4580 0.0819
C: 1.0073 -0.6123 0.2613
O: 2.1620 0.0872 -0.2468
H: -1.3434 -1.8713 -0.4424
H: -1.4261 -0.8687 1.0046
H: -2.3750 -0.4192 -0.4101
H: -0.1519 0.0197 -1.4952
H: -0.7662 1.5914 1.1250
H: -0.9461 2.0545 -0.6413
H: 0.5460 2.0092 0.0164
H: 1.1995 -1.7725 0.1220
H: 0.9156 -0.4246 1.4160
H: 3.1041 -0.4663 -0.2505

## Properties
**Orbital gap**: 10.891 eV
**Total energy**: -233.59831 hartree
**Structure (SMILES)**: CC(C)CO
**Energy relative to the best compared isomer or geometry (same formula, charge and spin)**: 29.27 kcal/mol
**HOMO energy**: -10.03 eV
**Strongest force on any atom**: 4.60 eV/Å
**Net charge**: 0



Record 2
Computed, not measured: C14H28Cl2O2SiTi as an isolated structure, with the ωB97M-V functional and the def2-TZVPD basis.

Atoms and positions in Å:
C: -0.6451 -1.4125 -2.0621
C: -0.6755 -0.0963 -2.6091
C: -1.5279 0.7064 -1.8063
C: 0.0752 0.3481 -3.7817
C: -2.0854 -0.1158 -0.8030
C: -1.5122 -1.4208 -0.9282
C: -1.8454 -2.5823 -0.1060
C: 0.2103 -2.5310 -2.5137
C: -1.9029 2.1005 -2.0781
C: -3.2312 0.2310 0.0574
Ti: 0.8886 -0.2613 0.9639
Cl: 1.2890 1.3077 -0.6503
Cl: 2.1113 -1.9949 0.3909
O: -0.7746 -0.4287 1.7003
H: 1.0075 -0.2131 -3.8664
H: 0.3141 1.4137 -3.7426
H: -0.5082 0.1541 -4.6902
H: -1.0223 2.7270 -2.2487
H: -2.4842 2.5535 -1.2666
H: -2.5082 2.1308 -2.9929
H: -3.2247 1.2748 0.3970
H: -3.2968 -0.4265 0.9304
H: -4.1407 0.0770 -0.5444
H: -2.2574 -2.2973 0.8706
H: -0.9405 -3.1596 0.1312
H: -2.5658 -3.2267 -0.6393
H: 1.2311 -2.1701 -2.6914
H: -0.1547 -3.0079 -3.4350
H: 0.2984 -3.3045 -1.7470
H: -1.2678 -0.0512 2.4550
O: -0.0954 -3.6583 1.9139
H: 0.3081 -4.2297 2.6226
C: 4.5426 1.1227 0.9254
Si: 3.1979 1.9455 1.9331
C: 3.6956 2.2918 3.7136
C: 2.7772 3.6361 1.1853
C: 1.7181 0.8523 2.3229
H: 5.4681 1.7062 1.0697
H: 4.3056 1.0517 -0.1438
H: 4.7283 0.0997 1.2761
H: 4.5504 2.9743 3.7359
H: 2.8245 2.7231 4.2228
H: 3.9189 1.3347 4.1974
H: 2.6005 3.6213 0.1026
H: 1.8697 4.0613 1.6346
H: 3.6032 4.3300 1.4036
H: 1.7159 0.0963 3.1396
H: 0.7973 1.4620 2.4466

## Properties
**Orbital gap (spin up / spin down)**: 3.847 / 3.847 eV
**Total energy**: -2760.11152 hartree
**Energy relative to the best compared isomer or geometry (same formula, charge and spin)**: 0.00 kcal/mol
**HOMO energy (spin up / spin down)**: 0.67 / 0.67 eV
**Strongest force on any atom**: 3.66 eV/Å
**Net charge**: -2



Record 3
Computed, not measured: one molecule with the formula C5H12O, with the ωB97M-V functional and the def2-TZVPD basis.

Atoms and positions in Å:
C: -1.3028 -2.1093 0.4532
C: -1.2986 -0.5725 0.2969
C: 0.0173 0.0480 -0.1961
C: -0.0772 1.8380 -0.7398
O: 0.9542 -0.0429 0.8369
C: 2.1520 0.5197 0.3427
H: -1.0755 -2.6124 -0.4951
H: -0.5714 -2.4360 1.1994
H: -2.2936 -2.4587 0.7812
H: -1.5482 -0.1153 1.2611
H: -2.0665 -0.2889 -0.4267

                    # check against our cloning rules
                    c, t, s = self.match_path(file)

                    if c or t or s:
                        # skip it
                        abspath = os.path.join(self.vpsroot, file[1:])

                        if (os.path.exists(abspath)
                                and (not os.path.islink(abspath))
                                and (not os.path.isdir(abspath))):
                            # (do not make symlinks and dirs immutable)

                            vsutil.set_file_xid(abspath, 0)

                            # NOTE that under no circumstances we *unset* the flag. This
                            # is because e.g. usr/libexec/oh stuff must be iunlink, but
                            # is not in an rpm.
                            # reldst is the way it would look relative to self.vpsroot

        sys.stdout.write('\b' * (prog_size + 2))
        sys.stdout.write('[%s]' % ('=' * prog_size))
        print 'Done.'